A critical shift in low-dose radiation research and communication

July 2, 2021, 2:15PMUpdated December 30, 2021, 7:15AMNuclear NewsSusan Gallier
A hot cell at Argonne National Laboratory was used to demonstrate a process for purifying molybdenum-99, an important diagnostic medical isotope. (Photo: Wes Agresta/ANL)

The biggest impact of radiation in our lives may come not from radiation itself, but from regulations and guidelines intended to control exposures to man-made sources that represent a small fraction of the natural radiation around us.

Decades of research have been unable to discern clear health impacts from low levels of ionizing radiation, leading to calls for a new research program—one with a strategic research agenda focused on how the scientific understanding of the health effects of low doses (below 100 millisievert) and low dose rates (less than 5 mSv per hour) can best be augmented, applied, and communicated.

RaFTS: The Radiation Field Training Simulator

July 9, 2021, 2:43PMNuclear NewsGreg White, Steve Kreek, William Dunlop, Joshua Oakgrove, Dan Bower, Dave Trombino, Erik Swanberg, and Steven Pike

One of the biggest challenges in training for incidents and emergencies that involve high-radiation-dose hazards is balancing between realism and safety. To be truly prepared for the realities of real-world nuclear and radiological emergencies, responder personnel need experience against those hazards but without introducing additional and very personal risks associated with unnecessary radiation exposure. The difficulty is in figuring out how we can achieve a level of realism that encompasses the entire process, from the initial detection of a hazard or threat, through its characterization, to recommending actions and leadership decision-making.

Radiation myths continue

May 13, 2021, 9:30AMANS Nuclear Cafe


Atomic fission can provide all the world’s people with as much emission-free electricity as they need for prosperity, but the cost of nuclear energy has risen due to excessive regulations that have been enacted in reaction to the general public's excessive fear of radiation. That’s according to Robert Hargraves, who teaches energy policy at Dartmouth’s Osher Lifelong Learning Institute and is a cofounder of nuclear engineering company ThorCon International.

In an article published by RealClearEnergy, Radiation: More Terrifying Than Night Air?, Hargraves posits that many people fear radiation because they don’t understand it, much like Americans who believed until the 20th century that night air was poisonous.

Critical Look: PBS Newshour’s coverage of 10th anniversary of the Fukushima nuclear accident

March 15, 2021, 3:00PMNuclear News

Along with many other media outlets on March 11, the PBS NewsHour reported on the continuing recovery efforts from the earthquake and tsunami that devastated northeastern Japan 10 years ago. The segment, "Japan marks 10th anniversary of Fukushima nuclear disaster," is just over eight minutes long, most of which discusses the effects of the earthquake and tsunami on the region and Japan’s preparedness for the next major natural incident.

Calming fears about low-dose radiation

March 8, 2021, 12:00PMANS NewsMary Lou Dunzik-Gougar

Mary Lou Dunzik-Gougar

During my time as vice president and president of ANS, I have been advocating for a new approach to implementing dose limits across the nuclear industry. A lack of understanding and an unfounded fear of radiation has resulted in widespread efforts to minimize dose, rather than to optimize radiation protection in a holistic sense. I want to put the “reasonably” back into ALARA (“as low as reasonably achievable”). Such a paradigm shift, from minimization to optimization, while easily said, equates to a major cultural change spanning international government agencies, industry, nongovernmental organizations, professional societies, and even academia. It is essential to have the active participation of all stakeholders in a transparent process to effect such a change. This process will not only lead us toward a more level playing field for nuclear, it will also greatly impact public perception of nuclear and radiological technology.

Farming in Fukushima

- - -
First-principles (PBE) data for a geometry-optimized KTl2RuBr6 structure, as listed in Alexandria.

The value obtained for the uncorrected formation energy is -7.51 eV/f.u. The density of states at the Fermi level is 24.67 states/eV/cell. The calculation puts the total magnetic moment at 3.08 μB/cell. For the volume, the calculation gives 34.99 Å³ per atom.

It has space group R3 (No. 146, hexagonal axes), with a = 7.9185 Å, b = 7.9185 Å, c = 19.3301 Å, α = 90.00°, β = 90.00° and γ = 120.00°. Symmetry generates all atoms from K at (0.0000, 0.0000, 0.0000), Tl at (0.0000, 0.0000, 0.2770), Tl at (0.0000, 0.0000, 0.7869), Ru at (0.0000, 0.0000, 0.4929), Br at (0.0463, 0.4320, 0.2337) and Br at (0.0987, 0.7094, 0.0827).


Entry from Alexandria: an optimized crystal structure of BaIn15Pb4 (PBE).

Values from the calculation:
D(E_F) = 6.30 states/eV/f.u.
E = -2.94 eV per atom

Cell and atoms, written as extended XYZ:
```
20
Lattice="-1.4976 4.8861 -0.1771 -4.8824 -1.4846 0.3266 1.1334 1.1516 22.1809" Properties=species:S:1:pos:R:3 pbc="T T T"
Ba 0.0000 0.0000 0.0000
In -3.1900 1.7008 0.0747
In -2.9537 1.9408 4.6988
In -2.7333 2.1647 9.0117
In -2.5132 2.3883 13.3187
In -2.2928 2.6123 17.6315
In -0.6249 2.5689 2.3360
In -0.4042 2.7932 6.6556
In -0.1821 3.0188 11.0019
In 0.0400 3.2445 15.3482
In 0.2608 3.4687 19.6678
In -2.3173 -0.6164 2.5879
In -2.0966 -0.3921 6.9074
In -1.8745 -0.1665 11.2537
In -1.6524 0.0591 15.6000
In -1.4316 0.2834 19.9196
Pb 0.2263 0.2299 4.4289
Pb 0.4542 0.4614 8.8881
Pb 0.6793 0.6901 13.2928
Pb 0.9071 0.9216 17.7520
```

***

Entry from Alexandria: an optimized crystal structure of Ba2InPb2 (PBE).

Values from the calculation:
energy relative to the lowest polymorph listed for this composition = 58 meV per atom
D(E_F) = 3.17 states/eV/f.u.
E = -3.25 eV per atom

Cell and atoms, written as extended XYZ:
```
5
Lattice="-3.6714 1.1468 3.2572 -0.9198 -5.0840 4.6521 2.4941 0.7541 6.4442" Properties=species:S:1:pos:R:3 pbc="T T T"
Ba 0.4853 -0.1718 6.4573
Ba -2.5823 -3.0113 7.8962
In -2.2956 -1.9686 3.9547
Pb 0.4352 -1.0110 2.7958
Pb -2.5321 -2.1721 11.5576
```

***

Entry from Alexandria: an optimized crystal structure of BaIn2Pb (PBE).

Values from the calculation:
D(E_F) = 2.54 states/eV/f.u.
E = -3.02 eV per atom

Cell and atoms, written as extended XYZ:
```
4
Lattice="3.7180 0.0000 0.0000 0.0000 6.4376 -1.0756 0.0000 -2.5673 6.0007" Properties=species:S:1:pos:R:3 pbc="T T T"
Ba 0.0000 5.9429 -0.6869
In 1.8590 4.6583 2.3140
In 1.8590 2.7233 -0.1483
Pb 1.8590 1.4398 2.8517
```

***

Entry from Alexandria: an optimized crystal structure of Ba3In6Pb5 (PBE).

Values from the calculation:
D(E_F) = 7.11 states/eV/f.u.
E = -3.23 eV per atom

Cell and atoms, written as extended XYZ:
```
28
Lattice="5.3544 0.0000 0.0000 0.0000 11.9039 0.0000 0.0000 0.0000 14.6107" Properties=species:S:1:pos:R:3 pbc="T T T"
Ba 0.0000 2.9663 10.1505
Ba 2.6772 8.9376 2.8452
Ba 2.6772 8.9376 11.7655
Ba 0.0000 3.0008 0.0000
Ba 2.6772 8.9031 7.3053
- - -
Here the entry continues >

February 12, 2021, 11:57AMANS Nuclear Cafe

Screenshot of the video from Vice.

Vice News has published a video on YouTube that follows two farmers from the Fukushima Prefecture, Noboru Saito and Koji Furuyama. Saito, who grows many different crops on his farm, says that the rice grown in the area is consistently rated as the best. Furuyama specializes in peaches and explains his strategy to deal with the stigma of selling fruit from Fukushima: grow the best peaches in the world.

The Toxic Pigs of Fukushima kicks off an online documentary series

February 4, 2021, 7:00AMANS Nuclear Cafe

A film titled The Toxic Pigs of Fukushima gets top billing as part of The Short List with Suroosh Alvi, an online documentary series curated by the founder of the media company Vice. The film, which first aired on Vice TV on January 31, follows local hunters who have been enlisted to dispose of radiated wild boars that now roam abandoned streets and buildings in Fukushima Prefecture, Japan, in the aftermath of the 2011 earthquake and tsunami that caused the nuclear accident there.

LA Times asks, “How safe is the water off SONGS?”

December 3, 2020, 6:46AMANS Nuclear Cafe

A California surfer. Photo: Brocken Inaglory/Wikicommons

The Los Angeles Times published an article on December 1 about a recent collaboration between the Surfrider Foundation and the Woods Hole Oceanographic Institution to determine how safe the water is off the coast of the San Onofre Nuclear Generating Station (SONGS).

Nuclear power: Are we too anxious about the risks of radiation?

September 30, 2020, 11:59AMANS Nuclear Cafe


Following U.K. Prime Minister Boris Johnson’s recent restatement of the United Kingdom’s commitment to nuclear power, BBC News chief environment correspondent, Justin Rowlatt, wrote an article aimed at separating fact from fiction regarding the safety and benefits of nuclear energy.

Misplaced records of crystals:
____________
No. 1
## La3Pm2SmP6 (PBE-GGA)

Data for a relaxed La3Pm2SmP6 crystal.

Calculated formation energy   -1.57 eV per atom
Spin magnetization   0.00 μB per formula unit

a = 7.2731 Å, b = 12.5960 Å, c = 7.2776 Å
α = 90.00°, β = 109.45°, γ = 90.00°
Space group C2/m (No. 12)
One atom of each set of equivalent atoms:
La (0.0000, 0.0000, 0.0000) [2 per cell]
La (0.0000, 0.3332, 0.0000) [4 per cell]
Pm (0.0000, 0.1666, 0.5000) [4 per cell]
Sm (0.0000, 0.5000, 0.5000) [2 per cell]
P (0.2473, 0.3337, 0.7431) [8 per cell]
P (0.2486, 0.0000, 0.7433) [4 per cell]

---

No. 2
## CeNpSc (PBE-GGA)

Data for a relaxed CeNpSc crystal.

Calculated formation energy   0.18 eV per atom
Spin magnetization   0.00 μB per formula unit
Relative energy among the computed polymorphs   0 meV/atom

a = 16.1630 Å, b = 3.3042 Å, c = 5.3483 Å
α = 90.00°, β = 101.92°, γ = 90.00°
Space group C2/m (No. 12)
One atom of each set of equivalent atoms:
Ce (0.1337, 0.0000, 0.3435) [4 per cell]
Np (0.2377, 0.0000, 0.8321) [4 per cell]
Sc (0.0607, 0.5000, 0.7872) [4 per cell]

---

No. 3
## MgBeI3 (PBE-GGA)

Data for a relaxed MgBeI3 crystal.

Spin magnetization   0.97 μB per formula unit
Relative energy among the computed polymorphs   249 meV/atom
ΔE_f (raw)   0.178 eV per atom

a = 5.7236 Å, b = 5.7236 Å, c = 5.7236 Å
α = 90.00°, β = 90.00°, γ = 90.00°
Space group Pm-3m (No. 221)
One atom of each set of equivalent atoms:
Mg (0.0000, 0.0000, 0.0000) [1 per cell]
Be (0.5000, 0.5000, 0.5000) [1 per cell]
I (0.0000, 0.0000, 0.5000) [3 per cell]

---

Which formula does entry 3 have?
MgBeI3

---

Copy entry 3 word for word.
## MgBeI3 (PBE-GGA)

Data for a relaxed MgBeI3 crystal.

Spin magnetization   0.97 μB per formula unit
Relative energy among the computed polymorphs   249 meV/atom
ΔE_f (raw)   0.178 eV per atom

a = 5.7236 Å, b = 5.7236 Å, c = 5.7236 Å
α = 90.00°, β = 90.00°, γ = 90.00°
Space group Pm-3m (No. 221)
One atom of each set of equivalent atoms:
Mg (0.0000, 0.0000, 0.0000) [1 per cell]
Be (0.5000, 0.5000, 0.5000) [1 per cell]
I (0.0000, 0.0000, 0.5000) [3 per cell]

---

Number 3 is which compound?
MgBeI3

=====

Record 1
Below is crystalline Ba2AcIrO8 at its relaxed geometry, with properties calculated at the PBE level.

It has space group P-3m1 (No. 164), with a = 5.8421 Å, b = 5.8421 Å, c = 6.7526 Å, α = 90.00°, β = 90.00° and γ = 120.00°. Symmetry generates all atoms from Ba at (0.3333, 0.6667, 0.3651), Ac at (0.0000, 0.0000, 0.0000), Ir at (0.0000, 0.0000, 0.5000), O at (0.1507, 0.3014, 0.6751) and O at (0.3333, 0.6667, 0.0142).

The calculation puts the volume at 199.6 Å³/cell. The value obtained for the uncorrected formation energy is -1.547 eV per atom.

=====

Record 2
Below is crystalline BaAcIrO6 at its relaxed geometry, with properties calculated at the PBE level.
____________
Here the article continues:

Among his points, Rowlatt defended the use of nuclear power to combat climate change, examined the data behind deaths from radiation exposure directly caused by the Chernobyl and Fukushima accidents, and explained that exposure to low levels of radiation is not a major health risk.

Harnessing the promise of radiation: The art of reasonableness

September 11, 2020, 3:04PMNuclear NewsPaul Locke, Amir Bahadori, Antone Brooks, Shaheen Dewji, Mary Lou Dunzik-Gougar, Marilyn Kray, and Alan Waltar

Radiation has benefited mankind in many ways, including its use as an energy source and an indispensable tool in medicine. Since the turn of the 20th century, society has sought ways to harness its potential, while at the same time recognizing that radiological exposures need to be carefully controlled. Out of these efforts, and the work of many dedicated professionals, the principles of justification, optimization, and limitation have emerged as guiding concepts.

Justification means that the use of radiation, from any radiation source, must do more good than harm. The concept of optimization calls for the use of radiation at a level that is as low as reasonably achievable (ALARA). Dose constraints, or limitation, are meant to assist in reaching optimization and protection against harm by setting recommended numerical levels of radiation exposure from a particular source or sources. Together, these three principles form the bedrock of the international radiation protection system that drives decision-­making and supports societal confidence that radiation is being used in a responsible manner.

Low-dose radiation has found its analogue

September 9, 2020, 7:58AMANS NewsCraig Piercy

Craig Piercy

Originally published in the September 2020 issue of Nuclear News.

This issue of Nuclear News is dedicated to highlighting advancements in health physics and radiation protection as well as the contributions of the men and women who serve in these fields. It comes at a time when COVID-19 is providing the entire world with an immersive primer on the science of epidemiology and the importance of risk-informed, performance-based behavior to contain an invisible—yet deadly—antagonist.

Piercy discusses wide-ranging topics on Titans of Nuclear podcast

June 19, 2020, 3:42PMANS News

ANS Executive Director/CEO Craig Piercy was a recent guest on the Titans of Nuclear podcast, hosted by Bret Kugelmass. The podcasts feature interviews with experts throughout the nuclear community, covering advanced technology, economics, policy, industry, and more.

The wide-ranging discussion with Piercy tackled diverse subjects—from his Washington, D.C., policymaking background, to ANS’s role in addressing challenging nuclear issues, to waste management and climate change.

Elettra designated an IAEA collaborating center

May 27, 2020, 7:48AMNuclear News

A collaborating center agreement was signed by Elettra Sincrotrone Trieste and the International Atomic Energy Agency in May. The agreement focuses on advanced light sources and will support countries in research, development, and capacity building in the application of advanced and innovative radiation technologies.

Fact-checking Amazon's new season of Bosch

May 5, 2020, 1:19PMEdited June 2, 2020, 5:03PMNuclear NewsJohn Fabian

The latest season of Amazon’s detective series Bosch premiered recently on its streaming service, Prime. The season opens with the murder of a medical physicist and the theft of radioactive cesium, with plenty of drama following as the protagonist tries to solve the murder and end the “catastrophic threat to Los Angeles.” The show is a work of fiction, but let’s take a closer look at the depiction of radiation to sort out the scientific facts.

The setup: The series stars Titus Welliver as Los Angeles Police Department detective Harry Bosch and Jamie Hector as his partner, Jerry Edgar. The first episode of the sixth and latest season begins late in the evening at a Los Angeles hospital. We are shown a nervous-looking medical physicist as he walks into a laboratory, the camera dramatically focusing on the radiation sign on the door. No one else is around as the medical physicist clears out the lab’s inventory of what we find out later is cesium. The physicist then walks the material out of the hospital without anyone giving him a second look.

RadioNuclear 22: HBO’s Chernobyl: A Setback or Opportunity?

June 27, 2019, 2:14PMANS Nuclear CafeDoug Hardtmayer

Episode 22 of RadioNuclear is now available. In this episode, we discuss the recent miniseries "Chernobyl", which recently concluded on HBO. We debunk some of the more egregious articles written in the wake of the show (see links to these articles below). We also discuss good ways to engage with individuals who are captivated with the show, and not necessarily familiar with nuclear technology.

Anniversary Observations

March 11, 2019, 6:00AMANS Nuclear CafeAlan Medsker

The seismic event was huge and was felt all over the world.  With a moment magnitude of over 9.0, the earthquake and was the fourth largest ever in the more than 100 years of recorded history.  Huge land masses shifted as much as 2.4 meters, and the rotation of the earth was changed so that days were suddenly just a little (but measurable) bit shorter.  It had sped up the world.

EBR-1 in Photos

December 20, 2018, 5:02PMANS Nuclear CafeWill Davis

December 20, 1951 marks an important date in the history of nuclear power; it's the date on which the first useful electric power was generated by atomic fission.  While the now-famous event at that time only powered four light bulbs, the somewhat stunt-like nature of the day obscured the fact that the plant was actually set up to generate considerably more power, and did so.  Let's take a look at this fact and, at the same time, the facility through illustrations from my collection and from photographs that I took myself while touring EBR-1 earlier this year.